SuperLand: Israel’s largest adventure park, “Superland” practices racial segregation

Shakra is an Arab-Israeli teacher

Shakra reported on Facebook that he tried and failed to book a day at the park for a group of his students.

When he first telephoned to reserve the visit he was told that the dates of June 17, 18 and 19 were specifically set aside for group visits and that he could choose any of those dates.

However, according to Shakra, as soon as he revealed the obviously Arabic-sounding name of his school, he was relayed to a second Superland employee who imformed him that there were no places available.

When Shakra offered to alter the date of his visit he was likewise rejected.

Half an hour later, he said, he called the theme park again, this time introducing himself as “Eyal” — a Hebrew name — and saying he represented a Jewish NGO, and was told that the dates were in fact open for his group.

After the story broke, Superland confirmed that it had a policy of designating separate days at the park for group visits by Arab and Jewish schools.


you forgot to mention the part where dindu kids would constantly chimp out and throw rocks at everyone. the only park they deserve is the parking lot we're gonna make out of gaza.

go back.

Jew Israel people are racist

you got that right spicshit

1.
Theoretical XRD peak list
Compound: Ce3Tl3HgS8
Radiation: Cu Kα (λ = 1.5418 Å)
Structure: a DFT-relaxed cell (PBE, Alexandria)
Lines closer than 0.1° are merged.

Crystal structure
```
Ce3Tl3HgS8
1.0
6.8810 -4.2553 0.0000
6.8810 4.2553 0.0000
-4.5188 0.0000 7.4252
Ce Tl Hg S
3 3 1 8
Cartesian
0.0000 0.0000 0.0000
3.4405 2.1276 0.0000
3.4405 -2.1276 0.0000
1.1811 2.1276 3.7126
1.1811 -2.1276 3.7126
4.6216 0.0000 3.7126
6.8810 0.0000 0.0000
5.6154 2.3818 1.5649
2.3433 0.0000 1.4982
3.6277 2.3818 5.8602
0.2754 0.0000 6.0615
8.9678 0.0000 1.3637
5.6154 -2.3818 1.5649
6.8998 0.0000 5.9270
3.6277 -2.3818 5.8602
```

The 12 most intense peaks (2θ from 5° to 70°), in order of rising 2θ:
| d_spacing | Position (°2θ) | I_rel |
| --- | --- | --- |
| 6.894 | 12.84 | 18 |
| 3.713 | 23.97 | 38 |
| 3.447 | 25.85 | 60 |
| 3.279 | 27.20 | 25 |
| 3.028 | 29.50 | 100 |
| 2.939 | 30.41 | 44 |
| 2.212 | 40.79 | 36 |
| 2.155 | 41.93 | 18 |
| 2.128 | 42.49 | 18 |
| 2.019 | 44.90 | 31 |
| 1.893 | 48.07 | 14 |
| 1.723 | 53.14 | 18 |


2.
Theoretical XRD peak list
Compound: Ce4HgSb
Radiation: Cu Kα (λ = 1.5418 Å)
Structure: a DFT-relaxed cell (PBE, Alexandria)
Lines closer than 0.1° are merged.

Crystal structure
```
Ce4HgSb
1.0
8.7863 -2.7736 0.0000
8.7863 2.7736 0.0000
-0.5023 0.0000 6.9720
Ce Hg Sb
8 2 2
Cartesian
7.1166 2.1509 4.1008
5.7530 1.2043 6.3483
9.7026 2.1509 6.3572
11.0663 1.2043 4.1098
6.0041 -1.2043 2.8623
7.3678 -2.1509 0.6148
11.3174 -1.2043 0.6238
9.9537 -2.1509 2.8712
4.1420 1.3868 3.4860
4.3932 -1.3868 0.0000
8.6608 0.6193 1.7430
8.4096 -0.6193 5.2290
```

The 12 most intense peaks (2θ from 5° to 70°), in order of rising 2θ:
| d_spacing | Position (°2θ) | I_rel |
| --- | --- | --- |
| 4.258 | 20.86 | 22 |
| 3.561 | 25.00 | 50 |
| 3.486 | 25.55 | 22 |
| 2.829 | 31.63 | 23 |
| 2.789 | 32.09 | 30 |
| 2.669 | 33.57 | 100 |
| 2.642 | 33.93 | 28 |
| 2.574 | 34.86 | 29 |
| 2.490 | 36.06 | 43 |
| 2.323 | 38.77 | 23 |
| 2.145 | 42.13 | 43 |
| 2.085 | 43.40 | 23 |


3.
Theoretical XRD peak list
Compound: CeSc5Hg6
Radiation: Cu Kα (λ = 1.5418 Å)
Structure: a DFT-relaxed cell (PBE, Alexandria)
Lines closer than 0.1° are merged.

Crystal structure
```
CeSc5Hg6
1.0
5.0188 0.0000 0.0000
0.0000 7.2580 0.0000
-2.4949 0.0000 7.5910
Ce Sc Hg
1 5 6
Cartesian
0.0000 0.0000 0.0000
0.0000 3.6290 0.0000
0.0105 0.0000 4.9983
0.0119 3.6290 5.1426
2.5121 3.6290 2.4483
2.5134 0.0000 2.5927
0.0027 1.9192 2.6361
0.0027 5.3387 2.6361
2.5094 1.9251 0.0000
2.5094 5.3329 0.0000
2.5212 1.9192 4.9549
2.5212 5.3387 4.9549
```

The 12 most intense peaks (2θ from 5° to 70°), in order of rising 2θ:
| d_spacing | Position (°2θ) | I_rel |
| --- | --- | --- |
| 3.629 | 24.53 | 17 |
| 3.564 | 24.99 | 34 |
| 2.543 | 35.30 | 100 |
| 2.530 | 35.48 | 25 |
| 2.509 | 35.78 | 25 |
| 1.814 | 50.28 | 9 |
| 1.783 | 51.22 | 9 |
| 1.780 | 51.33 | 9 |
| 1.599 | 57.63 | 9 |
| 1.470 | 63.24 | 9 |
| 1.463 | 63.59 | 17 |
| 1.455 | 63.98 | 18 |


4.
Theoretical XRD peak list
Compound: CeSc3Hg4
So much for the materials data:

What a gay name

god bless Israel

remove the shills who try to make us hate it

I find it so weird that jews from Israel hate shitskins but advocates it everywhere else.

>Superland confirmed that it had a policy of designating separate days at the park for group visits by Arab and Jewish schools.
Is this supposed to be a bad thing?

why would you be surprised that arabs and jews don't like eachother?

Muslim terrorist scum is a race now.


>israel advocates shitskins
no. our secretary of defense went as far as going on a german newspaper and calling their immigration policy "suicide" in their face. there are very few liberals left in israel. we live around shitskins, we know the problem well.

They do that here as well, and yet you vehemently argue that they should come here

Then its only the non iseral born jews that advocate it. Can you explain why Dr Goldberg?

there are no nationalist jews in the diaspora because nationalist jews have already moved to their nation of israel. you are left with the libshits who would rather live a rich comfy life while preaching for diversity

maybe you should as your own people, and especially your own women, why they like muslim and african dick so much. oh let me guess that must be our fault as well. fuck off cuck no one needs your approval

>great success

t. borat

>*smacks lips*
>We wuz amusement parks

stop rockposting

>tfw the last bastion of white skinned people will be Israel

this is the ultimate redpill Sup Forums refuses to swallow. the only white people who will survive are slavs and kikes

I would move to Israel if I didnt like my foreskin so much

Like this cunt.

The jew is right, its the Swede's fault of being cucks that their country is in shambles right now.

tragically ironic that jews now treat arabs as jews were once treated by nazis

>Vekoma SLC

fuck off kike theres a reason nazis burned your grandparents.

theres a reason itll happen again

No we dont , but soon we will treat them that way.
Goat fuckers can fuck right off.
